== Activity ==
Print the whole of the block underneath character by character, please.

== Excerpt ==
~~~
No. 1
Molecular formula: C5H12NO2
Method: DFT, ωB97M-V/def2-TZVPD

```
! wB97M-V def2-TZVPD RIJCOSX def2/J DEFGRID3
* xyz -1 1
C 1.93 1.49 -1.19
N 2.15 1.62 0.28
C 0.93 1.50 1.03
O 0.40 0.24 1.13
H 1.56 0.48 -1.49
H 2.92 1.63 -1.66
H 1.22 2.25 -1.53
H 2.96 1.09 0.66
H 0.17 2.15 0.50
H 1.21 1.87 2.03
C -2.30 -0.66 0.12
O -1.48 0.44 -0.21
C -1.80 -2.00 -0.42
C -0.79 -2.66 0.12
H -3.32 -0.50 -0.23
H -2.37 -0.82 1.22
H -0.45 0.12 0.31
H -2.32 -2.44 -1.27
H -0.51 -3.63 -0.25
H -0.12 -2.18 0.85
*
```

Computed properties:
molar mass = 118.16 g mol⁻¹
HOMO energy = -3.497 eV
energy relative to the best compared isomer or geometry (same formula, charge and spin) = 342.2 kJ/mol
gap between HOMO and LUMO = 7.715 eV

Taken from the Löwdin analysis, the atomic charges in e are:
1 C -0.147
2 N -0.141
3 C -0.451
4 O -0.230
5 H 0.072
6 H 0.053
7 H 0.067
8 H 0.096
9 H 0.115
10 H 0.091
11 C -0.376
12 O -0.249
13 C -0.174
14 C -0.027
15 H 0.077
16 H 0.100
17 H -0.026
18 H 0.075
19 H 0.024
20 H 0.050

---

No. 2
Molecular formula: H3IP2S2
Method: DFT, ωB97M-V/def2-TZVPD

```
! wB97M-V def2-TZVPD RIJCOSX def2/J DEFGRID3
* xyz 0 1
P -1.04 0.19 1.23
P 0.44 0.68 -0.21
S 1.08 2.32 0.46
S -0.03 0.53 -2.24
I -1.37 -2.19 0.84
H 0.05 -0.03 1.99
H 1.50 -0.92 -0.01
H -0.62 -0.58 -2.07
*
```

Computed properties:
molar mass = 256.01 g mol⁻¹
HOMO energy = -9.256 eV
energy relative to the best compared isomer or geometry (same formula, charge and spin) = 162.3 kJ/mol
gap between HOMO and LUMO = 8.731 eV

Taken from the Löwdin analysis, the atomic charges in e are:
1 P 0.117
2 P -0.498
3 S 0.123
4 S 0.404
5 I 0.264
6 H -0.198
7 H 0.058
8 H -0.271

---

No. 3
Molecular formula: C3H5NSe
Method: DFT, ωB97M-V/def2-TZVPD

```
! wB97M-V def2-TZVPD RIJCOSX def2/J DEFGRID3
* xyz 0 1
C -1.44 -0.87 0.21
C 0.89 1.44 0.17
C -0.45 -1.68 -0.30
N -2.11 0.00 0.53
Se 1.63 -0.32 0.07
H -0.13 1.49 0.23
H 0.97 1.99 1.17
H 1.15 2.17 -0.69
H -0.16 -2.61 -0.06
H -0.37 -1.61 -1.34
*
```

Computed properties:
molar mass = 134.04 g mol⁻¹
HOMO energy = -8.972 eV
energy relative to the best compared isomer or geometry (same formula, charge and spin) = 155.4 kJ/mol
gap between HOMO and LUMO = 7.755 eV

Taken from the Löwdin analysis, the atomic charges in e are:
1 C -0.352
2 C -0.552
3 C -0.152
4 N 0.162
5 Se 0.790
6 H -0.059
7 H 0.055
8 H 0.058
9 H 0.012
10 H 0.037

---

No. 4
Molecular formula: C5H11NO
Method: DFT, ωB97M-V/def2-TZVPD

```
! wB97M-V def2-TZVPD RIJCOSX def2/J DEFGRID3
* xyz 1 2
C 0.14 -1.46 0.39
N -0.76 -0.29 0.21
C -0.97 0.92 1.03
C -0.43 2.14 0.24
C 0.36 1.23 -0.69
O 1.55 1.20 -0.72
C 0.99 -1.89 -0.81
H 0.74 -1.36 1.28
H -0.53 -2.31 0.53
H -1.50 -0.49 -0.43
H -0.33 0.74 1.88
H -1.98 1.11 1.37
H -1.11 2.80 -0.27
H 0.23 2.71 0.90
H -0.14 1.09 -1.67
H 0.44 -2.16 -1.71
H 1.78 -1.20 -1.08
H 1.50 -2.79 -0.45
*
```

Computed properties:
molar mass = 101.15 g mol⁻¹
HOMO energy (spin up / spin down) = -15.233 / -14.348 eV
energy relative to the best compared isomer or geometry (same formula, charge and spin) = 259.4 kJ/mol
gap between HOMO and LUMO (spin up / spin down) = 11.769 / 6.249 eV

Taken from the Löwdin analysis, the atomic charges in e are:
1 C -0.168
2 N 0.056
3 C -0.104
4 C -0.033
5 C -0.308
6 O 0.195
7 C -0.055
8 H 0.131
9 H 0.134
10 H 0.156
11 H 0.141
12 H 0.142
13 H 0.128
14 H 0.136
15 H 0.196
16 H 0.089
17 H 0.068
18 H 0.096

---

Copy entry 1 word for word.
Molecular formula: C5H12NO2
Method: DFT, ωB97M-V/def2-TZVPD

```
! wB97M-V def2-TZVPD RIJCOSX def2/J DEFGRID3
* xyz -1 1
~~~

== Reply ==
No. 1
Molecular formula: C5H12NO2
Method: DFT, ωB97M-V/def2-TZVPD

```
! wB97M-V def2-TZVPD RIJCOSX def2/J DEFGRID3
* xyz -1 1
C 1.93 1.49 -1.19
N 2.15 1.62 0.28
C 0.93 1.50 1.03
O 0.40 0.24 1.13
H 1.56 0.48 -1.49
H 2.92 1.63 -1.66
H 1.22 2.25 -1.53
H 2.96 1.09 0.66
H 0.17 2.15 0.50
H 1.21 1.87 2.03
C -2.30 -0.66 0.12
O -1.48 0.44 -0.21
C -1.80 -2.00 -0.42
C -0.79 -2.66 0.12
H -3.32 -0.50 -0.23
H -2.37 -0.82 1.22
H -0.45 0.12 0.31
H -2.32 -2.44 -1.27
H -0.51 -3.63 -0.25
H -0.12 -2.18 0.85
*
```

Computed properties:
molar mass = 118.16 g mol⁻¹
HOMO energy = -3.497 eV
energy relative to the best compared isomer or geometry (same formula, charge and spin) = 342.2 kJ/mol
gap between HOMO and LUMO = 7.715 eV

Taken from the Löwdin analysis, the atomic charges in e are:
1 C -0.147
2 N -0.141
3 C -0.451
4 O -0.230
5 H 0.072
6 H 0.053
7 H 0.067
8 H 0.096
9 H 0.115
10 H 0.091
11 C -0.376
12 O -0.249
13 C -0.174
14 C -0.027
15 H 0.077
16 H 0.100
17 H -0.026
18 H 0.075
19 H 0.024
20 H 0.050

---

No. 2
Molecular formula: H3IP2S2
Method: DFT, ωB97M-V/def2-TZVPD

```
! wB97M-V def2-TZVPD RIJCOSX def2/J DEFGRID3
* xyz 0 1
P -1.04 0.19 1.23
P 0.44 0.68 -0.21
S 1.08 2.32 0.46
S -0.03 0.53 -2.24
I -1.37 -2.19 0.84
H 0.05 -0.03 1.99
H 1.50 -0.92 -0.01
H -0.62 -0.58 -2.07
*
```

Computed properties:
molar mass = 256.01 g mol⁻¹
HOMO energy = -9.256 eV
energy relative to the best compared isomer or geometry (same formula, charge and spin) = 162.3 kJ/mol
gap between HOMO and LUMO = 8.731 eV

Taken from the Löwdin analysis, the atomic charges in e are:
1 P 0.117
2 P -0.498
3 S 0.123
4 S 0.404
5 I 0.264
6 H -0.198
7 H 0.058
8 H -0.271

---

No. 3
Molecular formula: C3H5NSe
Method: DFT, ωB97M-V/def2-TZVPD

```
! wB97M-V def2-TZVPD RIJCOSX def2/J DEFGRID3
* xyz 0 1
C -1.44 -0.87 0.21
C 0.89 1.44 0.17
C -0.45 -1.68 -0.30
N -2.11 0.00 0.53
Se 1.63 -0.32 0.07
H -0.13 1.49 0.23
H 0.97 1.99 1.17
H 1.15 2.17 -0.69
H -0.16 -2.61 -0.06
H -0.37 -1.61 -1.34
*
```

Computed properties:
molar mass = 134.04 g mol⁻¹
HOMO energy = -8.972 eV
energy relative to the best compared isomer or geometry (same formula, charge and spin) = 155.4 kJ/mol
gap between HOMO and LUMO = 7.755 eV

Taken from the Löwdin analysis, the atomic charges in e are:
1 C -0.352
2 C -0.552
3 C -0.152
4 N 0.162
5 Se 0.790
6 H -0.059
7 H 0.055
8 H 0.058
9 H 0.012
10 H 0.037

---

No. 4
Molecular formula: C5H11NO
Method: DFT, ωB97M-V/def2-TZVPD

```
! wB97M-V def2-TZVPD RIJCOSX def2/J DEFGRID3
* xyz 1 2
C 0.14 -1.46 0.39
N -0.76 -0.29 0.21
C -0.97 0.92 1.03
C -0.43 2.14 0.24
C 0.36 1.23 -0.69
O 1.55 1.20 -0.72
C 0.99 -1.89 -0.81
H 0.74 -1.36 1.28
H -0.53 -2.31 0.53
H -1.50 -0.49 -0.43
H -0.33 0.74 1.88
H -1.98 1.11 1.37
H -1.11 2.80 -0.27
H 0.23 2.71 0.90
H -0.14 1.09 -1.67
H 0.44 -2.16 -1.71
H 1.78 -1.20 -1.08
H 1.50 -2.79 -0.45
*
```

Computed properties:
molar mass = 101.15 g mol⁻¹
HOMO energy (spin up / spin down) = -15.233 / -14.348 eV
energy relative to the best compared isomer or geometry (same formula, charge and spin) = 259.4 kJ/mol
gap between HOMO and LUMO (spin up / spin down) = 11.769 / 6.249 eV

Taken from the Löwdin analysis, the atomic charges in e are:
1 C -0.168
2 N 0.056
3 C -0.104
4 C -0.033
5 C -0.308
6 O 0.195
7 C -0.055
8 H 0.131
9 H 0.134
10 H 0.156
11 H 0.141
12 H 0.142
13 H 0.128
14 H 0.136
15 H 0.196
16 H 0.089
17 H 0.068
18 H 0.096

---

Copy entry 1 word for word.
Molecular formula: C5H12NO2
Method: DFT, ωB97M-V/def2-TZVPD

```
! wB97M-V def2-TZVPD RIJCOSX def2/J DEFGRID3
* xyz -1 1